Assignment:
Could you duplicate everything further below exactly?

Entries:
(1)
DFT (PBE-GGA) results for crystalline Ga2P3H11O13 at its relaxed geometry.

Properties
The crystal system is monoclinic.

Cell lengths 10.145, 7.776, 8.187 Å; angles 68.59, 90.00, 90.00 degrees
Sites, in units of the cell vectors:
Ga 0.850 0.065 0.975
Ga 0.350 0.935 0.025
Ga 0.578 0.589 0.624
Ga 0.078 0.411 0.376
P 0.877 0.457 0.655
P 0.377 0.543 0.345
P 0.575 0.251 0.007
P 0.075 0.749 0.993
P 0.130 0.223 0.079
P 0.630 0.777 0.921
H 0.892 0.527 0.790
H 0.392 0.473 0.210
H 0.544 0.380 0.084
H 0.044 0.620 0.916
H 0.179 0.346 0.917
H 0.679 0.654 0.083
H 0.907 0.763 0.246
H 0.407 0.237 0.754
H 0.268 0.165 0.697
H 0.768 0.835 0.303
H 0.529 0.888 0.332
H 0.029 0.112 0.668
H 0.613 0.958 0.461
H 0.113 0.042 0.539
H 0.320 0.732 0.601
H 0.820 0.268 0.399
H 0.397 0.720 0.777
H 0.897 0.280 0.223
H 0.689 0.111 0.633
H 0.189 0.889 0.367
H 0.611 0.263 0.486
H 0.111 0.737 0.514
O 0.869 0.245 0.735
O 0.369 0.755 0.265
O 0.980 0.202 0.063
O 0.480 0.798 0.937
O 0.721 0.206 0.054
O 0.221 0.794 0.946
O 0.705 0.959 0.878
O 0.205 0.041 0.122
O 0.983 0.916 0.909
O 0.483 0.084 0.091
O 0.843 0.867 0.222
O 0.343 0.133 0.778
O 0.753 0.544 0.551
O 0.253 0.456 0.449
O 0.548 0.342 0.808
O 0.048 0.658 0.192
O 0.158 0.311 0.215
O 0.658 0.689 0.785
O 0.502 0.483 0.460
O 0.002 0.517 0.540
O 0.599 0.851 0.423
O 0.099 0.149 0.577
O 0.393 0.669 0.682
O 0.893 0.331 0.318
O 0.669 0.156 0.505
O 0.169 0.844 0.495

(2)
DFT (PBE-GGA) results for crystalline Hg at its relaxed geometry.

Properties
The crystal system is hexagonal.

Cell lengths 3.291, 5.560, 5.560 Å; angles 120.00, 90.00, 90.00 degrees
Sites, in units of the cell vectors:
Hg 0.500 0.333 0.667
Hg 0.500 0.667 0.333
Hg 0.000 0.000 0.000

(3)
DFT (PBE-GGA) results for crystalline Dy2CdPd2 at its relaxed geometry.

Properties
The crystal system is tetragonal.

Cell lengths 7.709, 7.709, 3.755 Å; angles 90.00, 90.00, 90.00 degrees
Sites, in units of the cell vectors:
Dy 0.328 0.828 0.500
Dy 0.828 0.672 0.500
Dy 0.172 0.328 0.500
Dy 0.672 0.172 0.500
Cd 0.000 0.000 0.000
Cd 0.500 0.500 0.000
Pd 0.371 0.129 0.000
Pd 0.871 0.371 0.000
Pd 0.129 0.629 0.000
Pd 0.629 0.871 0.000

(4)
DFT (PBE-GGA) results for crystalline Er3Co2Ge4 at its relaxed geometry.

Properties
The crystal system is monoclinic.

Cell lengths 5.678, 5.678, 7.990 Å; angles 73.65, 73.65, 43.13 degrees
Sites, in units of the cell vectors:
Er 0.376 0.376 0.693
Er 0.624 0.624 0.307
Er 0.000 0.000 0.000
Co 0.310 0.310 0.370
Co 0.690 0.690 0.630
Ge 0.097 0.097 0.600
Ge 0.903 0.903 0.400
Ge 0.710 0.710 0.920
Ge 0.290 0.290 0.080

(5)
DFT (PBE-GGA) results for crystalline MgAgF5 at its relaxed geometry.

Properties
The crystal system is monoclinic.

Cell lengths 5.500, 5.500, 8.466 Å; angles 66.58, 66.58, 69.43 degrees
Sites, in units of the cell vectors:
Mg 0.511 0.489 0.750
Mg 0.489 0.511 0.250
Ag 0.000 0.000 0.000
Ag 0.000 0.000 0.500
F 0.181 0.819 0.250
F 0.819 0.181 0.750
F 0.228 0.268 0.367
F 0.732 0.772 0.133
F 0.702 0.326 0.061
F 0.674 0.298 0.439
F 0.298 0.674 0.939
F 0.326 0.702 0.561
F 0.268 0.228 0.867
F 0.772 0.732 0.633

(6)
DFT (PBE-GGA) results for crystalline AcMg3 at its relaxed geometry.

Properties
The crystal system is cubic.

Cell lengths 5.457, 5.457, 5.457 Å; angles 60.00, 60.00, 60.00 degrees
Sites, in units of the cell vectors:
Ac 0.000 0.000 0.000
Mg 0.500 0.500 0.500
Mg 0.750 0.750 0.750
Mg 0.250 0.250 0.250

(7)
DFT (PBE-GGA) results for crystalline Na6Ca4Ta2P6S3O36 at its relaxed geometry.

Properties
The crystal system is monoclinic.

Cell lengths 9.176, 9.196, 23.017 Å; angles 90.42, 90.00, 119.93 degrees
Sites, in units of the cell vectors:
Na 0.000 0.654 0.246
Na 0.654 0.654 0.746
Na 0.305 0.344 0.586
Na 0.664 0.948 0.581
Na 0.284 0.948 0.081
Na 0.039 0.344 0.086
Na 0.990 0.975 0.489
Na 0.985 0.975 0.989
Na 0.649 0.301 0.826
Na 0.651 0.301 0.326
Na 0.348 0.664 0.170
Na 0.316 0.664 0.670
Ca 0.003 0.011 0.351
Ca 0.008 0.011 0.851
Ca 0.999 0.998 0.656
Ca 0.999 0.998 0.156
Ca 0.665 0.330 0.689
Ca 0.665 0.330 0.189

Completed:
(1)
DFT (PBE-GGA) results for crystalline Ga2P3H11O13 at its relaxed geometry.

Properties
The crystal system is monoclinic.

Cell lengths 10.145, 7.776, 8.187 Å; angles 68.59, 90.00, 90.00 degrees
Sites, in units of the cell vectors:
Ga 0.850 0.065 0.975
Ga 0.350 0.935 0.025
Ga 0.578 0.589 0.624
Ga 0.078 0.411 0.376
P 0.877 0.457 0.655
P 0.377 0.543 0.345
P 0.575 0.251 0.007
P 0.075 0.749 0.993
P 0.130 0.223 0.079
P 0.630 0.777 0.921
H 0.892 0.527 0.790
H 0.392 0.473 0.210
H 0.544 0.380 0.084
H 0.044 0.620 0.916
H 0.179 0.346 0.917
H 0.679 0.654 0.083
H 0.907 0.763 0.246
H 0.407 0.237 0.754
H 0.268 0.165 0.697
H 0.768 0.835 0.303
H 0.529 0.888 0.332
H 0.029 0.112 0.668
H 0.613 0.958 0.461
H 0.113 0.042 0.539
H 0.320 0.732 0.601
H 0.820 0.268 0.399
H 0.397 0.720 0.777
H 0.897 0.280 0.223
H 0.689 0.111 0.633
H 0.189 0.889 0.367
H 0.611 0.263 0.486
H 0.111 0.737 0.514
O 0.869 0.245 0.735
O 0.369 0.755 0.265
O 0.980 0.202 0.063
O 0.480 0.798 0.937
O 0.721 0.206 0.054
O 0.221 0.794 0.946
O 0.705 0.959 0.878
O 0.205 0.041 0.122
O 0.983 0.916 0.909
O 0.483 0.084 0.091
O 0.843 0.867 0.222
O 0.343 0.133 0.778
O 0.753 0.544 0.551
O 0.253 0.456 0.449
O 0.548 0.342 0.808
O 0.048 0.658 0.192
O 0.158 0.311 0.215
O 0.658 0.689 0.785
O 0.502 0.483 0.460
O 0.002 0.517 0.540
O 0.599 0.851 0.423
O 0.099 0.149 0.577
O 0.393 0.669 0.682
O 0.893 0.331 0.318
O 0.669 0.156 0.505
O 0.169 0.844 0.495

(2)
DFT (PBE-GGA) results for crystalline Hg at its relaxed geometry.

Properties
The crystal system is hexagonal.

Cell lengths 3.291, 5.560, 5.560 Å; angles 120.00, 90.00, 90.00 degrees
Sites, in units of the cell vectors:
Hg 0.500 0.333 0.667
Hg 0.500 0.667 0.333
Hg 0.000 0.000 0.000

(3)
DFT (PBE-GGA) results for crystalline Dy2CdPd2 at its relaxed geometry.

Properties
The crystal system is tetragonal.

Cell lengths 7.709, 7.709, 3.755 Å; angles 90.00, 90.00, 90.00 degrees
Sites, in units of the cell vectors:
Dy 0.328 0.828 0.500
Dy 0.828 0.672 0.500
Dy 0.172 0.328 0.500
Dy 0.672 0.172 0.500
Cd 0.000 0.000 0.000
Cd 0.500 0.500 0.000
Pd 0.371 0.129 0.000
Pd 0.871 0.371 0.000
Pd 0.129 0.629 0.000
Pd 0.629 0.871 0.000

(4)
DFT (PBE-GGA) results for crystalline Er3Co2Ge4 at its relaxed geometry.

Properties
The crystal system is monoclinic.

Cell lengths 5.678, 5.678, 7.990 Å; angles 73.65, 73.65, 43.13 degrees
Sites, in units of the cell vectors:
Er 0.376 0.376 0.693
Er 0.624 0.624 0.307
Er 0.000 0.000 0.000
Co 0.310 0.310 0.370
Co 0.690 0.690 0.630
Ge 0.097 0.097 0.600
Ge 0.903 0.903 0.400
Ge 0.710 0.710 0.920
Ge 0.290 0.290 0.080

(5)
DFT (PBE-GGA) results for crystalline MgAgF5 at its relaxed geometry.

Properties
The crystal system is monoclinic.

Cell lengths 5.500, 5.500, 8.466 Å; angles 66.58, 66.58, 69.43 degrees
Sites, in units of the cell vectors:
Mg 0.511 0.489 0.750
Mg 0.489 0.511 0.250
Ag 0.000 0.000 0.000
Ag 0.000 0.000 0.500
F 0.181 0.819 0.250
F 0.819 0.181 0.750
F 0.228 0.268 0.367
F 0.732 0.772 0.133
F 0.702 0.326 0.061
F 0.674 0.298 0.439
F 0.298 0.674 0.939
F 0.326 0.702 0.561
F 0.268 0.228 0.867
F 0.772 0.732 0.633

(6)
DFT (PBE-GGA) results for crystalline AcMg3 at its relaxed geometry.

Properties
The crystal system is cubic.

Cell lengths 5.457, 5.457, 5.457 Å; angles 60.00, 60.00, 60.00 degrees
Sites, in units of the cell vectors:
Ac 0.000 0.000 0.000
Mg 0.500 0.500 0.500
Mg 0.750 0.750 0.750
Mg 0.250 0.250 0.250

(7)
DFT (PBE-GGA) results for crystalline Na6Ca4Ta2P6S3O36 at its relaxed geometry.

Properties
The crystal system is monoclinic.

Cell lengths 9.176, 9.196, 23.017 Å; angles 90.42, 90.00, 119.93 degrees
Sites, in units of the cell vectors:
Na 0.000 0.654 0.246
Na 0.654 0.654 0.746
Na 0.305 0.344 0.586
Na 0.664 0.948 0.581
Na 0.284 0.948 0.081
Na 0.039 0.344 0.086
Na 0.990 0.975 0.489
Na 0.985 0.975 0.989
Na 0.649 0.301 0.826
Na 0.651 0.301 0.326
Na 0.348 0.664 0.170
Na 0.316 0.664 0.670
Ca 0.003 0.011 0.351
Ca 0.008 0.011 0.851
Ca 0.999 0.998 0.656
Ca 0.999 0.998 0.156
Ca 0.665 0.330 0.689
Ca 0.665 0.330 0.189